• Entries:
<<<
A relaxed KTaBe crystal. Source: the Alexandria database, functional PBE-GGA.

Unit cell a=7.575 b=7.575 c=7.575 alpha=157.55 beta=157.55 gamma=31.95
Element x y z (fractional)
1 K 0.000 0.000 0.000
2 Ta 0.720 0.720 0.000
3 Be 0.315 0.315 0.000

Calculated values
uncorrected energy = -4.75 eV/atom
E_form = 0.81 eV per atom
crystal system = tetragonal
energy above the lowest structure with this stoichiometry = 0.423 eV per atom



A relaxed K2TaBe crystal. Source: the Alexandria database, functional PBE-GGA.

Unit cell a=6.898 b=6.898 c=2.811 alpha=101.03 beta=101.03 gamma=127.39
Element x y z (fractional)
1 K 0.000 0.500 0.000
2 K 0.500 0.000 0.000
3 Ta 0.000 0.000 0.500
4 Be 0.500 0.500 0.500

Calculated values
uncorrected energy = -3.01 eV/atom
E_form = 1.44 eV per atom
crystal system = monoclinic



A relaxed K3TaBe crystal. Source: the Alexandria database, functional PBE-GGA.

Unit cell a=6.748 b=6.748 c=6.748 alpha=90.00 beta=90.00 gamma=90.00
Element x y z (fractional)
1 K 0.000 0.000 0.500
2 K 0.000 0.500 0.000
3 K 0.500 0.000 0.000
4 Ta 0.000 0.000 0.000
5 Be 0.500 0.500 0.500

Calculated values
uncorrected energy = -1.89 eV/atom
E_form = 1.89 eV per atom
crystal system = cubic
energy above the lowest structure with this stoichiometry = 0.122 eV per atom



A relaxed KTa2Be crystal. Source: the Alexandria database, functional PBE-GGA.

Unit cell a=10.733 b=10.733 c=10.733 alpha=15.71 beta=15.71 gamma=15.71
Element x y z (fractional)
1 K 0.000 0.000 0.000
2 Ta 0.230 0.230 0.230
3 Ta 0.770 0.770 0.770
4 Be 0.500 0.500 0.500

Calculated values
uncorrected energy = -6.25 eV/atom
E_form = 0.89 eV per atom
crystal system = trigonal



A relaxed K2TaBe crystal. Source: the Alexandria database, functional PBE-GGA.

Unit cell a=6.588 b=6.588 c=6.588 alpha=144.80 beta=144.80 gamma=50.63
Element x y z (fractional)
1 K 0.250 0.750 0.500
2 K 0.750 0.250 0.500
3 Ta 0.000 0.000 0.000
4 Be 0.500 0.500 0.000

Calculated values
uncorrected energy = -2.92 eV/atom
E_form = 1.52 eV per atom
crystal system = tetragonal



A relaxed KTaBe crystal. Source: the Alexandria database, functional PBE-GGA.

Unit cell a=3.390 b=3.395 c=12.902 alpha=90.50 beta=97.14 gamma=90.00
Element x y z (fractional)
1 K 0.095 0.240 0.165
2 K 0.905 0.760 0.835
3 Ta 0.222 0.248 0.436
4 Ta 0.778 0.752 0.564
5 Be 0.311 0.255 0.633
6 Be 0.689 0.745 0.367

Calculated values
uncorrected energy = -5.15 eV/atom
E_form = 0.41 eV per atom
crystal system = triclinic
energy above the lowest structure with this stoichiometry = 0.022 eV per atom



A relaxed KTaBe crystal. Source: the Alexandria database, functional PBE-GGA.

Unit cell a=8.436 b=3.603 c=10.503 alpha=90.00 beta=90.00 gamma=90.00
Element x y z (fractional)
1 K 0.029 0.250 0.165
2 K 0.471 0.750 0.665
3 K 0.529 0.250 0.335
4 K 0.971 0.750 0.835
5 Ta 0.098 0.250 0.542
6 Ta 0.402 0.750 0.042
7 Ta 0.598 0.250 0.958
8 Ta 0.902 0.750 0.458
9 Be 0.185 0.750 0.396
10 Be 0.315 0.250 0.896
11 Be 0.685 0.750 0.104
12 Be 0.815 0.250 0.604

Calculated values
uncorrected energy = -4.54 eV/atom
E_form = 1.02 eV per atom
crystal system = orthorhombic
energy above the lowest structure with this stoichiometry = 0.636 eV per atom



A relaxed KTaBe crystal. Source: the Alexandria database, functional PBE-GGA.

Unit cell a=4.968 b=4.968 c=5.228 alpha=90.00 beta=90.00 gamma=120.00
Element x y z (fractional)
1 K 0.000 0.000 0.000
2 K 0.000 0.000 0.500
3 Ta 0.333 0.667 0.340
4 Ta 0.667 0.333 0.840
5 Be 0.333 0.667 0.834
6 Be 0.667 0.333 0.334

Calculated values
uncorrected energy = -4.01 eV/atom
E_form = 1.55 eV per atom
crystal system = hexagonal
energy above the lowest structure with this stoichiometry = 1.165 eV per atom



A relaxed KTaBe crystal. Source: the Alexandria database, functional PBE-GGA.

Unit cell a=3.667 b=4.529 c=11.512 alpha=85.01 beta=85.51 gamma=66.38
Element x y z (fractional)
1 K 0.221 0.214 0.188
2 K 0.779 0.786 0.812
3 Ta 0.135 0.201 0.557
4 Ta 0.865 0.799 0.443
5 Be 0.434 0.590 0.585
6 Be 0.566 0.410 0.415
>>>

• Brief:
What is needed: duplicate all of the notes further above unchanged.

• Here it is:
A relaxed KTaBe crystal. Source: the Alexandria database, functional PBE-GGA.

Unit cell a=7.575 b=7.575 c=7.575 alpha=157.55 beta=157.55 gamma=31.95
Element x y z (fractional)
1 K 0.000 0.000 0.000
2 Ta 0.720 0.720 0.000
3 Be 0.315 0.315 0.000

Calculated values
uncorrected energy = -4.75 eV/atom
E_form = 0.81 eV per atom
crystal system = tetragonal
energy above the lowest structure with this stoichiometry = 0.423 eV per atom



A relaxed K2TaBe crystal. Source: the Alexandria database, functional PBE-GGA.

Unit cell a=6.898 b=6.898 c=2.811 alpha=101.03 beta=101.03 gamma=127.39
Element x y z (fractional)
1 K 0.000 0.500 0.000
2 K 0.500 0.000 0.000
3 Ta 0.000 0.000 0.500
4 Be 0.500 0.500 0.500

Calculated values
uncorrected energy = -3.01 eV/atom
E_form = 1.44 eV per atom
crystal system = monoclinic



A relaxed K3TaBe crystal. Source: the Alexandria database, functional PBE-GGA.

Unit cell a=6.748 b=6.748 c=6.748 alpha=90.00 beta=90.00 gamma=90.00
Element x y z (fractional)
1 K 0.000 0.000 0.500
2 K 0.000 0.500 0.000
3 K 0.500 0.000 0.000
4 Ta 0.000 0.000 0.000
5 Be 0.500 0.500 0.500

Calculated values
uncorrected energy = -1.89 eV/atom
E_form = 1.89 eV per atom
crystal system = cubic
energy above the lowest structure with this stoichiometry = 0.122 eV per atom



A relaxed KTa2Be crystal. Source: the Alexandria database, functional PBE-GGA.

Unit cell a=10.733 b=10.733 c=10.733 alpha=15.71 beta=15.71 gamma=15.71
Element x y z (fractional)
1 K 0.000 0.000 0.000
2 Ta 0.230 0.230 0.230
3 Ta 0.770 0.770 0.770
4 Be 0.500 0.500 0.500

Calculated values
uncorrected energy = -6.25 eV/atom
E_form = 0.89 eV per atom
crystal system = trigonal



A relaxed K2TaBe crystal. Source: the Alexandria database, functional PBE-GGA.

Unit cell a=6.588 b=6.588 c=6.588 alpha=144.80 beta=144.80 gamma=50.63
Element x y z (fractional)
1 K 0.250 0.750 0.500
2 K 0.750 0.250 0.500
3 Ta 0.000 0.000 0.000
4 Be 0.500 0.500 0.000

Calculated values
uncorrected energy = -2.92 eV/atom
E_form = 1.52 eV per atom
crystal system = tetragonal



A relaxed KTaBe crystal. Source: the Alexandria database, functional PBE-GGA.

Unit cell a=3.390 b=3.395 c=12.902 alpha=90.50 beta=97.14 gamma=90.00
Element x y z (fractional)
1 K 0.095 0.240 0.165
2 K 0.905 0.760 0.835
3 Ta 0.222 0.248 0.436
4 Ta 0.778 0.752 0.564
5 Be 0.311 0.255 0.633
6 Be 0.689 0.745 0.367

Calculated values
uncorrected energy = -5.15 eV/atom
E_form = 0.41 eV per atom
crystal system = triclinic
energy above the lowest structure with this stoichiometry = 0.022 eV per atom



A relaxed KTaBe crystal. Source: the Alexandria database, functional PBE-GGA.

Unit cell a=8.436 b=3.603 c=10.503 alpha=90.00 beta=90.00 gamma=90.00
Element x y z (fractional)
1 K 0.029 0.250 0.165
2 K 0.471 0.750 0.665
3 K 0.529 0.250 0.335
4 K 0.971 0.750 0.835
5 Ta 0.098 0.250 0.542
6 Ta 0.402 0.750 0.042
7 Ta 0.598 0.250 0.958
8 Ta 0.902 0.750 0.458
9 Be 0.185 0.750 0.396
10 Be 0.315 0.250 0.896
11 Be 0.685 0.750 0.104
12 Be 0.815 0.250 0.604

Calculated values
uncorrected energy = -4.54 eV/atom
E_form = 1.02 eV per atom
crystal system = orthorhombic
energy above the lowest structure with this stoichiometry = 0.636 eV per atom



A relaxed KTaBe crystal. Source: the Alexandria database, functional PBE-GGA.

Unit cell a=4.968 b=4.968 c=5.228 alpha=90.00 beta=90.00 gamma=120.00
Element x y z (fractional)
1 K 0.000 0.000 0.000
2 K 0.000 0.000 0.500
3 Ta 0.333 0.667 0.340
4 Ta 0.667 0.333 0.840
5 Be 0.333 0.667 0.834
6 Be 0.667 0.333 0.334

Calculated values
uncorrected energy = -4.01 eV/atom
E_form = 1.55 eV per atom
crystal system = hexagonal
energy above the lowest structure with this stoichiometry = 1.165 eV per atom



A relaxed KTaBe crystal. Source: the Alexandria database, functional PBE-GGA.

Unit cell a=3.667 b=4.529 c=11.512 alpha=85.01 beta=85.51 gamma=66.38
Element x y z (fractional)
1 K 0.221 0.214 0.188
2 K 0.779 0.786 0.812
3 Ta 0.135 0.201 0.557
4 Ta 0.865 0.799 0.443
5 Be 0.434 0.590 0.585
6 Be 0.566 0.410 0.415